A question about back payments

carguy97 Online Community Member Posts: 15 Listener

Hi everyone! New to this forum. I was just awarded LCWRA at tribunal after being found fit for work by the DWP previously. The judge awarded me based on substantial risk alone.

# Materials data from another source follow
┌──
TbErTe2: optimized geometry, PBE.

The total energy comes out at -5.128 eV/atom. As for the formation energy: -1.4669 eV/atom.

It has space group P4/mmm (No. 123), with a = 4.339 Å, b = 4.339 Å, c = 6.165 Å, α = 90.00°, β = 90.00° and γ = 90.00°. The distinct sites, in fractional coordinates, are Tb at (0.000, 0.000, 0.000), Er at (0.500, 0.500, 0.500), Te at (0.000, 0.000, 0.500) and Te at (0.500, 0.500, 0.000).


Nb2CuO6: optimized geometry, PBE.

The offset from the most stable computed form is 0.07 kcal/mol of atoms. The total energy comes out at -8.067 eV/atom. As for the formation energy: -2.5265 eV/atom.

It has space group Pbcn (No. 60), with a = 14.359 Å, b = 5.679 Å, c = 5.247 Å, α = 90.00°, β = 90.00° and γ = 90.00°. The distinct sites, in fractional coordinates, are Nb at (0.160, 0.184, 0.202), Cu at (0.000, 0.329, 0.750), O at (0.085, 0.414, 0.327), O at (0.092, 0.100, 0.885) and O at (0.240, 0.134, 0.529).

=====

## one
└──

I have a question about backpay though. I had a job centre appointment on the 3rd but obviously with my ruling they have gone ahead and cancelled it. I have dropped a message in my journal, but I'm unsure now if anyone will see it as I no longer have to go to the JC.

My original fit note/claim was started in October 2022, and I had the WCA in January 2023 I believe. So based on that information, and the fact the judge said I need to be reassessed in 12 months (does he mean WCA or another tribunal??), am I entitled to backpay? If so, how much am I likely to be looking at? Thanks everyone


  • poppy123456
    poppy123456 Online Community Member Posts: 63,481 Championing

    The waiting period is 3 full assessment periods. LCWRA is then paid from the 4th month after you provided your first fit note. First payment is then at the end of that 4th month. It's not paid at all during the waiting period.

    You haven't given enough of information for me to advise when it's paid from exactly. I'd need the answer to the following questions.

    1/ What date exactly did you provide your first fit note?

    2/ What date do you usually receive your money each month?

    LCWRA is an ongoing award until a new decision says otherwise. The 12 months you were awarded is irrelevant because it doesn't just end after those 12 months.

    Now you have LCWRA no further appointments will be needed and this will continue for as long as you have LCWRA. You will be reviewed sometime in the future but when that will be is anyone's guess.

  • carguy97
    carguy97 Online Community Member Posts: 15 Listener

    Hi Poppy, thanks for responding. 21st October 2022 was the exact date my first fit note was submitted according tory journal records.

{
  "formula": "DyB2Ru3",
  "functional": "PBE-GGA",
  "state": "optimized geometry",
  "e_form_ev_per_atom": -0.47,
  "dft_energy_ry_per_atom": -0.5957,
  "cell": [[5.509, 0.000, 0.000], [-2.755, 4.771, 0.000], [0.000, 0.000, 3.037]],
  "species": ["Dy", "B", "B", "Ru", "Ru", "Ru"],
  "fractional_positions": [[0.000, 0.000, 0.000], [0.333, 0.667, 0.000], [0.667, 0.333, 0.000], [0.000, 0.500, 0.500], [0.500, 0.000, 0.500], [0.500, 0.500, 0.500]]
}


Material: NaVPO5
Method: DFT, GGA+U
State: optimized geometry

abc: 6.631 8.579 7.112
angles: 90.00 114.88 90.00
Sites, in units of the cell vectors:
Na: 0.247 0.086 0.218
Na: 0.247 0.414 0.718
Na: 0.753 0.586 0.282
Na: 0.753 0.914 0.782
V: 0.254 0.740 0.981
V: 0.254 0.760 0.481
V: 0.746 0.240 0.519
V: 0.746 0.260 0.019
P: 0.250 0.066 0.749
P: 0.250 0.434 0.249
P: 0.750 0.566 0.751
P: 0.750 0.934 0.251
O: 0.064 0.171 0.594
O: 0.064 0.329 0.094
O: 0.154 0.539 0.372
O: 0.154 0.961 0.872
O: 0.249 0.683 0.747
O: 0.249 0.817 0.247
O: 0.356 0.537 0.134
O: 0.356 0.963 0.634
O: 0.427 0.180 0.899
O: 0.427 0.320 0.399
O: 0.573 0.680 0.601
O: 0.573 0.820 0.101
O: 0.644 0.037 0.366
O: 0.644 0.463 0.866
O: 0.751 0.183 0.753
O: 0.751 0.317 0.253
O: 0.846 0.039 0.128
O: 0.846 0.461 0.628
O: 0.936 0.671 0.906
O: 0.936 0.829 0.406

## Properties
Total magnetic moment = 0.125 μB per atom
Volume = 367 Å³/cell
ΔE to the lowest computed polymorph = 0.0 meV/atom

Material: Mn2Cd3Ge3O12
Method: DFT, GGA+U
State: optimized geometry

abc: 10.852 10.852 10.852
angles: 109.47 109.47 109.47
Sites, in units of the cell vectors:
Mn: 0.000 0.000 0.000
Mn: 0.000 0.000 0.500
Mn: 0.000 0.500 0.000
Mn: 0.000 0.500 0.500
Mn: 0.500 0.000 0.000
Mn: 0.500 0.000 0.500
Mn: 0.500 0.500 0.000
Mn: 0.500 0.500 0.500
Cd: 0.125 0.250 0.375
Cd: 0.125 0.375 0.750
Cd: 0.250 0.375 0.125
Cd: 0.250 0.875 0.625
Cd: 0.375 0.125 0.250
Cd: 0.375 0.750 0.125
Cd: 0.625 0.250 0.875
Cd: 0.625 0.875 0.750
Cd: 0.750 0.125 0.375
Cd: 0.750 0.625 0.875
Cd: 0.875 0.625 0.250
Cd: 0.875 0.750 0.625
Ge: 0.125 0.750 0.875
Ge: 0.125 0.875 0.250
Ge: 0.250 0.125 0.875
Ge: 0.250 0.625 0.375
Ge: 0.375 0.250 0.625
Ge: 0.375 0.625 0.750
Ge: 0.625 0.375 0.250
Ge: 0.625 0.750 0.375
Ge: 0.750 0.375 0.625
Ge: 0.750 0.875 0.125
Ge: 0.875 0.125 0.750
Ge: 0.875 0.250 0.125
O: 0.017 0.202 0.121
O: 0.017 0.315 0.896
O: 0.081 0.702 0.685
O: 0.081 0.879 0.396
O: 0.104 0.621 0.419
O: 0.104 0.983 0.685
O: 0.121 0.017 0.202
O: 0.121 0.604 0.919
O: 0.185 0.202 0.581
O: 0.185 0.483 0.604
O: 0.202 0.121 0.017
O: 0.202 0.581 0.185
O: 0.298 0.315 0.919
O: 0.298 0.483 0.379
O: 0.315 0.896 0.017
O: 0.315 0.919 0.298
O: 0.379 0.298 0.483
O: 0.379 0.581 0.896
O: 0.396 0.081 0.879
O: 0.396 0.815 0.517
O: 0.419 0.104 0.621
O: 0.419 0.815 0.798
O: 0.483 0.379 0.298
O: 0.483 0.604 0.185
O: 0.517 0.396 0.815
O: 0.517 0.621 0.702
O: 0.581 0.185 0.202
O: 0.581 0.896 0.379
O: 0.604 0.185 0.483
O: 0.604 0.919 0.121
O: 0.621 0.419 0.104
O: 0.621 0.702 0.517
O: 0.685 0.081 0.702
O: 0.685 0.104 0.983

    As for my UC, I am paid on the 25th of each month

  • poppy123456
    poppy123456 Online Community Member Posts: 63,481 Championing

    Your waiting period will be Oct/Nov, Nov/Dec. Dec/Jan… LCWRA starts from 19th Jan to 18th Feb and first payment would be 25th Feb 2023.

    Before they can pay what is owed they will need to recalculate your past statements to work out how much money you've already received, against what you should have received. You will then be paid the difference between the two. Once this is done you'll receive a letter on your journal telling you how much is owed and it will be paid into your bank. It will be paid separately to your usual monthly money. Please also note that the LCWRA element will be 3 different rates… 2022/23, 2023/24 and 2024/25.

    That was an extremely long process.

  • carguy97
    carguy97 Online Community Member Posts: 15 Listener

    Okay, thanks. I'll wait to see what their calculations come up with and was they tell me through my journal. So it's looking like it should be quite a good amount then based on the length of time that I have been waiting since my WCA?? You're right, it was an extremely long process, made worse by being talked down to constantly by the DWP staff and having unrealistic expectations placed upon me this whole time. I'm just glad it's over now

    One more thing, does it affect anything if I have gaps in my fit notes? Basically I submitted the original October 2022 one, that triggered the WCA, but before the WCA I had submitted a second one that was for a substantially longer amount of time, however after my WCA in Jan 23' they told me I no longer needed to continue submitting fit notes because I had been found fit for work at the time. Will this affect anything?

  • poppy123456
    poppy123456 Online Community Member Posts: 63,481 Championing

    As long as there were no gaps from the time you provided your first fit note up until a decision was made originally in 2023 then you'll be fine. No further fit notes are needed after that decision was made anyway.

    I'm also assuming you didn't report any changes after that decision was made in 2023 so had no further work capability assessment?

Unrelated to this piece: materials data >
-- begin --
PrZn3P3: optimized geometry, r2SCAN.

abc: 4.030 4.030 20.095
angles: 90.00 90.00 120.00
Positions (direct):
Pr (0.000, 0.000, 0.500)
Pr (0.000, 0.000, 0.000)
Zn (0.333, 0.667, 0.750)
Zn (0.667, 0.333, 0.250)
Zn (0.667, 0.333, 0.631)
Zn (0.333, 0.667, 0.131)
Zn (0.333, 0.667, 0.369)
Zn (0.667, 0.333, 0.869)
P (0.667, 0.333, 0.750)
P (0.333, 0.667, 0.250)
P (0.667, 0.333, 0.089)
P (0.333, 0.667, 0.589)
P (0.333, 0.667, 0.911)
P (0.667, 0.333, 0.411)

Summary:
Formation energy from the elements = -0.70 eV per atom
M_tot = 0.00 Bohr magnetons per cell

---

Li3Ca: optimized geometry, r2SCAN.

abc: 5.327 5.327 5.327
angles: 60.00 60.00 60.00
Positions (direct):
Li (0.750, 0.750, 0.750)
Li (0.250, 0.250, 0.250)
Li (0.000, 0.000, 0.000)
Ca (0.500, 0.500, 0.500)

Summary:
Formation energy from the elements = 0.05 eV per atom
M_tot = 0.00 Bohr magnetons per cell

---

KIrO3: optimized geometry, r2SCAN.

abc: 9.487 9.487 9.487
angles: 90.00 90.00 90.00
Positions (direct):
K (0.345, 0.345, 0.345)
K (0.845, 0.155, 0.845)
K (0.655, 0.655, 0.345)
K (0.845, 0.845, 0.155)
K (0.155, 0.155, 0.155)
K (0.345, 0.655, 0.655)
K (0.250, 0.250, 0.750)
K (0.655, 0.345, 0.655)
K (0.750, 0.750, 0.750)
K (0.155, 0.845, 0.845)
K (0.750, 0.250, 0.250)
K (0.250, 0.750, 0.250)
Ir (0.000, 0.342, 0.500)
Ir (0.500, 0.842, 0.000)
Ir (0.842, 0.000, 0.500)
Ir (0.000, 0.500, 0.158)
Ir (0.000, 0.500, 0.842)
Ir (0.500, 0.000, 0.342)
Ir (0.000, 0.658, 0.500)
Ir (0.500, 0.000, 0.658)
Ir (0.342, 0.500, 0.000)
Ir (0.158, 0.000, 0.500)
Ir (0.658, 0.500, 0.000)
Ir (0.500, 0.158, 0.000)
O (0.996, 0.653, 0.296)
O (0.504, 0.153, 0.796)
O (0.296, 0.004, 0.347)
O (0.847, 0.204, 0.504)
O (0.139, 0.500, 0.500)
O (0.496, 0.847, 0.796)
O (0.500, 0.500, 0.861)
O (0.500, 0.500, 0.139)
O (0.504, 0.847, 0.204)
O (0.204, 0.504, 0.847)
O (0.004, 0.347, 0.296)
O (0.496, 0.153, 0.204)
O (0.796, 0.496, 0.847)
O (0.653, 0.704, 0.004)
O (0.704, 0.996, 0.347)
O (0.153, 0.204, 0.496)
O (0.704, 0.004, 0.653)
O (0.796, 0.504, 0.153)
O (0.500, 0.139, 0.500)
O (0.361, 0.000, 0.000)
O (0.000, 0.000, 0.361)
O (0.500, 0.861, 0.500)
O (0.996, 0.347, 0.704)
O (0.000, 0.361, 0.000)
O (0.000, 0.000, 0.639)
O (0.847, 0.796, 0.496)
O (0.347, 0.704, 0.996)
O (0.153, 0.796, 0.504)
O (0.204, 0.496, 0.153)
O (0.000, 0.639, 0.000)
O (0.347, 0.296, 0.004)
O (0.861, 0.500, 0.500)
O (0.653, 0.296, 0.996)
O (0.296, 0.996, 0.653)
O (0.004, 0.653, 0.704)
O (0.639, 0.000, 0.000)

Summary:
Formation energy from the elements = -1.20 eV per atom
M_tot = 0.00 Bohr magnetons per cell

---

EuSi2Pd2: optimized geometry, r2SCAN.

abc: 4.237 4.237 5.809
angles: 111.39 111.39 90.00
Positions (direct):
Eu (0.000, 0.000, 0.000)
Si (0.622, 0.622, 0.243)
Si (0.378, 0.378, 0.757)
Pd (0.750, 0.250, 0.500)
Pd (0.250, 0.750, 0.500)

Summary:
Formation energy from the elements = -0.84 eV per atom
-- stop --

  • carguy97
    carguy97 Online Community Member Posts: 15 Listener

    Correct yes, I did not report any further changes since the initial WCA as I had not received any other new diagnosis's for my health, and didn't even think the JC would listen to me based off that

  • carguy97
    carguy97 Online Community Member Posts: 15 Listener

    I am way worse off now than I was back then though. I've recently applied for PIP because of this and I'm waiting to hear a decision back from that